Testing and lawyersgreenspun.com : LUSENET : TimeBomb 2000 (Y2000) : One Thread |
The Sun-Sentinel ran a short y2k story in the business section today, Rivals sharing ideas, resources, talking about how the airlines and telcos have shared solutions and done cooperative testing. But this paragraph kind of stopped me in my tracks....
The cooperation hasn't been easy. BellSouth and AT&T spent months with their lawyers and contract negotiators before they could agree on what tests to conduct.The lawyers are involved in what tests to run? Am I just getting overly sensitive to this kind of stuff, or does this seem like a bad idea?
-- Bob (bob@bob.bob), July 28, 1999
This is elementary. Lawyers know what other lawyers are likely to come up with as a basis for a lawsuit. Therefore they try to cover every contingency and thereby squander months of valuable time that should be used to test and fix. Would you expect more? When you are dealing with a bunch of people trying to line their own pockets, it is difficult to see the objective. A mutual we agree to not sue each other as a result of these tests would have been sufficient in an earlier time before there were so many lawyers. We ought to pass a law to build no new law schools and that people can not be admitted to existing law schools until they commit to a year of public service for each year of law school. Why should we subsidize the education of more attorneys so there can be more lawsuits?
-- Curly (Curly@notstupid.gom), July 28, 1999.
Bob, Your question does present some possible nefarious angles for consideration, but there is also the mundane consideration that testing could be quite expensive and there might be a lot of negotiation about who is going to pay for what, particularly if the testing might break something.
-- Puddintame (achillesg@hotmail.com), July 28, 1999.
What screams out at me about this is that it gives support to the notion that Y2k remediation is taking place in the same kind of environment where it was born in the first place.Only, with the addition of lawyers into the mix and the fear of lawsuits, my thinking is that the environment is actually worse.
Why is there slippage? Why is there silence? Why is there spin?
And why would anyone think that the same problems and politics that plague the interworkings of an entity would simply vanish because the project that is being done is Y2k remediation?
It's the same world. It's the same old problems. It's the same workers. It's the same pressures. It's the same kinds of issues. It's the same questions regarding comphensation.
# Calculated crystals that have nothing to do with the entry
____________
Structure and calculated powder XRD pattern of TiS5Cl2O6 (a PBE-relaxed structure; a wavelength of 1.5418 Å).
Intensities are scaled so that the largest is 100.

The 12 most intense peaks (10 to 90 degrees two-theta), by intensity:
h k l	d_spacing	I/Imax
1 0 0	7.928	100.0
-2 1 2	3.598	76.3
1 0 -3	3.847	73.1
1 1 0	5.763	51.0
-1 1 2	4.564	49.9
1 -2 2	3.040	49.4
-2 2 1	3.108	44.8
0 0 2	5.392	40.6
1 1 -2	4.776	32.3
1 -2 0	3.960	28.4
1 -1 1	4.854	23.6
-1 1 1	5.877	23.6

a = 8.5215 Å, b = 8.9047 Å, c = 11.6100 Å
α = 94.07°, β = 111.22°, γ = 91.35°
Element x y z (fractional)
Ti 0.0689 0.2523 0.1654
Ti 0.9311 0.7477 0.8346
S 0.0760 0.4690 0.6836
S 0.0784 0.0705 0.7476
S 0.3267 0.5703 0.1684
S 0.3563 0.2634 0.5122
S 0.3809 0.0179 0.1395
S 0.6191 0.9821 0.8605
S 0.6437 0.7366 0.4878
S 0.6733 0.4297 0.8316
S 0.9216 0.9295 0.2524
S 0.9240 0.5310 0.3164
Cl 0.1359 0.6569 0.4358
Cl 0.3802 0.2285 0.7856
Cl 0.6198 0.7715 0.2144
Cl 0.8641 0.3431 0.5642
O 0.0155 0.6163 0.7247
O 0.0289 0.0663 0.2444
O 0.0931 0.7639 0.9670
O 0.1919 0.4445 0.1447
O 0.2460 0.1331 0.1190
O 0.3282 0.2655 0.3766
O 0.6718 0.7345 0.6234
O 0.7540 0.8669 0.8810
O 0.8081 0.5555 0.8553
O 0.9069 0.2361 0.0330
O 0.9711 0.9337 0.7556
O 0.9845 0.3837 0.2753

=====

Structure and simulated XRD peak list of Mo2P2O11 (a structure optimized by DFT (PBE+U); Cu Kα (λ = 1.5418 Å)).

Crystal structure
```
data_Mo2P2O11
_space_group_name_H-M_alt 'P 1 m 1'
_space_group_IT_number 6
_space_group_name_Hall 'P -2y'
_cell_length_a 3.8893
_cell_length_b 6.5368
_cell_length_c 8.8058
_cell_angle_alpha 90.00
_cell_angle_beta 102.30
_cell_angle_gamma 90.00
loop_
_atom_site_label
_atom_site_fract_x
_atom_site_fract_y
_atom_site_fract_z
Mo1 0.0000 0.0000 0.0000
Mo2 0.3076 0.5000 0.5534
P1 0.2557 0.0000 0.4482
P2 0.9793 0.5000 0.1305
O1 0.0426 0.2996 0.0375
O2 0.1686 0.0000 0.2784
O3 0.1797 0.5000 0.3031
O4 0.3052 0.1858 0.5466
O5 0.3974 0.5000 0.7512
O6 0.5471 0.0000 0.0364
O7 0.5942 0.5000 0.1332
O8 0.7908 0.5000 0.5276
O9 0.9227 0.0000 0.8023
```

Top 10 peaks for 2θ = 10–80°, by angle:
h k l, 2theta, I (rel.)
0 1 1, 17.04, 87
0 0 2, 20.65, 87
1 0 -1, 23.46, 100
0 1 2, 24.78, 34
1 1 -1, 27.18, 43
0 2 0, 27.29, 73
1 0 1, 27.61, 27
1 2 -1, 36.29, 24
2 0 -1, 46.72, 29
1 1 4, 55.17, 26

=====

Entry 1:
Structure and simulated X-ray diffraction stick pattern of TaIn3O7 (DFT lattice parameters and positions (PBE); Cu Kα).
No peak broadening, texture or thermal motion is included.

Atomic structure:
```
data_TaIn3O7
_space_group_name_H-M_alt 'P n m a'
_space_group_IT_number 62
_cell_length_a 7.3193
_cell_length_b 10.5118
_cell_length_c 7.4939
_cell_angle_alpha 90.00
_cell_angle_beta 90.00
_cell_angle_gamma 90.00
loop_
_space_group_symop_operation_xyz
'x,y,z'
'-x,-y,-z'
'-x+1/2,-y,z+1/2'
'x+1/2,y,-z+1/2'
'x+1/2,-y+1/2,-z+1/2'
'-x+1/2,y+1/2,z+1/2'
'-x,y+1/2,-z'
'x,-y+1/2,z'
loop_
_atom_site_label
_atom_site_fract_x
_atom_site_fract_y
_atom_site_fract_z
Ta1 0.0008 0.2500 0.2422
In1 0.0075 0.7500 0.2979
In2 0.2494 0.5086 0.9845
____________
The only difference is that this deadline, the final, actual deadline, can't be pushed back.
## These calculated crystals were left in the entry by mistake
+++
Starting from the GGA-PBE geometry in Alexandria, the powder XRD pattern of Ce4ZnRh4 was computed for a wavelength of 1.5418 Å.

Top 6 peaks for 10° ≤ 2θ ≤ 80°, by angle:
two_theta  d (Å)  I (rel.)  (hkl)
32.26  2.775  100.0  1 3 0
33.61  2.666  44.1  0 0 2
46.28  1.962  29.1  4 2 0
47.28  1.922  68.2  1 3 2
58.40  1.580  28.8  4 2 2
79.82  1.202  14.8  1 3 4

a b c (Å): 8.774 8.774 5.332
angles (deg): 90.00 90.00 90.00
Space group I4/m (No. 87)
Symmetry-distinct sites (fractional):
Ce  0.086  0.295  0.000 (multiplicity 8)
Zn  0.000  0.000  0.500 (multiplicity 2)
Rh  0.090  0.270  0.500 (multiplicity 8)

Starting from the GGA-PBE geometry in Alexandria, the powder XRD pattern of PmZnSn2Rh2 was computed for a wavelength of 1.5418 Å.

Top 6 peaks for 10° ≤ 2θ ≤ 80°, by angle:
two_theta  d (Å)  I (rel.)  (hkl)
26.89  3.315  31.1  1 1 0
30.97  2.888  63.6  1 1 1
36.06  2.490  100.0  1 0 2
38.40  2.344  89.9  2 0 0
53.70  1.707  64.3  2 1 2
55.43  1.658  30.9  2 2 0

a b c (Å): 4.688 4.688 5.879
angles (deg): 90.00 90.00 90.00
Space group P4/mmm (No. 123)
Symmetry-distinct sites (fractional):
Pm  0.000  0.000  0.000 (multiplicity 1)
Zn  0.000  0.000  0.500 (multiplicity 1)
Sn  0.500  0.500  0.242 (multiplicity 2)
Rh  0.000  0.500  0.500 (multiplicity 2)

Question: What is the formula in the first record?
Answer: Ce4ZnRh4

Please write out number 2 again, unchanged.
Starting from the GGA-PBE geometry in Alexandria, the powder XRD pattern of PmZnSn2Rh2 was computed for a wavelength of 1.5418 Å.

Top 6 peaks for 10° ≤ 2θ ≤ 80°, by angle:
two_theta  d (Å)  I (rel.)  (hkl)
26.89  3.315  31.1  1 1 0
30.97  2.888  63.6  1 1 1
36.06  2.490  100.0  1 0 2
38.40  2.344  89.9  2 0 0
53.70  1.707  64.3  2 1 2
55.43  1.658  30.9  2 2 0

a b c (Å): 4.688 4.688 5.879
angles (deg): 90.00 90.00 90.00
Space group P4/mmm (No. 123)
Symmetry-distinct sites (fractional):
Pm  0.000  0.000  0.000 (multiplicity 1)
Zn  0.000  0.000  0.500 (multiplicity 1)
Sn  0.500  0.500  0.242 (multiplicity 2)
Rh  0.000  0.500  0.500 (multiplicity 2)

* * * * *

Theoretical powder diffraction line list of Y2RuRh for Cu Ka, from a GGA-PBE-relaxed structure.
Intensities are scaled so that the largest is 100.

Structure:
```
data_Y2RuRh
_chemical_formula_sum 'Y8 Ru4 Rh4'
_space_group_name_H-M_alt 'F m -3 m'
_space_group_IT_number 225
_space_group_name_Hall '-F 4 2 3'
_cell_length_a 6.8538
_cell_length_b 6.8538
_cell_length_c 6.8538
_cell_angle_alpha 90.00
_cell_angle_beta 90.00
_cell_angle_gamma 90.00
loop_
_atom_site_label
_atom_site_fract_x
_atom_site_fract_y
_atom_site_fract_z
Y1 0.2500 0.2500 0.2500
Ru1 0.0000 0.0000 0.0000
Rh1 0.0000 0.0000 0.5000
```

Principal peaks in the range 2θ = 5–70°, most intense first:
- 2θ 37.1, d = 2.423 Å, intensity 100, (2 2 0)
- 2θ 66.9, d = 1.399 Å, intensity 34, (4 2 2)
- 2θ 53.5, d = 1.713 Å, intensity 17, (4 0 0)
- 2θ 26.0, d = 3.427 Å, intensity 1, (2 0 0)

***
+++
-- Michael Taylor (mtdesign3@aol.com), July 28, 1999.
Gary North mentioned long ago that the way corporation chieftains approach problems are with the threat of lawsuits in mind. How can we construct a scenario of readiness that will stand up in court rather than what is the prudent way to keep the organization functional at rollover. After all, it's more cost effective to do it this way in their eyes. More profits, higher stock values. Most are DWGI or DGI anyway. Our V.P. of Corporate Finance mentioned in an e- mail regarding company compliance that we've been here for a hundred years, we'll be here for another hundred. End of problem...
-- PJC (paulchri@msn.com), July 28, 1999.
I wonder what Marma would say about all this?? Hhmmmmmmmmmmm...
-- George (jvilches@sminter.com.ar), July 28, 1999.
Aw, can't we think of ways that lawyers could participate during the testing? You know: "Here, the city attorneys stand here in the park while we test the sewer plant..."
-- Mad Monk (madmonk@hawaiian.net), July 28, 1999.